Aujourd'hui on peut plier la boutique. Tu peux nous retourner que le but suprême d'un bon blog electro c'est de reussir à sacrer Crookers et Bloody Beetroots dans la même itw, on s'en fout !
Il y a six mois, (sors ton Kleenex, marque déposée) quand on a commencé cette modeste page, c'était altruistement pour les faire découvrir au mètre carré français qu'on avait sous notre autorité, parce que même si toi français tu ne connais pas encore Oh No Ono, chez eux, au Danemark, c'est pas le groupe le moins connu et le moins cool du pays.
Oh No Ono c'est un peu notre "La Boum" à nous. Leurs chansons ont été chantées très fort quand on a décroché notre première itw, mais aussi quand on a décroché la deuxième, la troisième, quand on a emballé notre première moustache, jetté le dernier accessoire léopard de notre dressing, avant notre premier set et on t'en passe...
La première fois qu'on l'a entendu c'était, parce qu'il faut être précis, un matin, par quelqu'un (qu'on remercie) qui préferait partager la vie d'une mangouste plutôt que de ne pas finir ses jours avec une grande danoise au cheveux blond (le mythe à tuer).
On s'est vexé puis on a écouté leur Album "Yes", en boucle, jusqu'à ce que les paroles soient intégrées sur nos lèvres. Puis même s'il ne nous apparaissait pas que les danoises avaient une aura plus spectaculaire que la nôtre, il s'est clairement averé que leur musique portait vers des nébuleuses qu'on ne connaissait pas ici.
A la grande époque du Paris Paris vous avez peut être déjà eu la chance de les voir, en attendant qu'ils reviennent en France il faudra se déplacer dans leur pays d'origine...
Oh No Ono c'est galactique. Ca n'a pas de qualification, c'est eux, point.
Nous avons également constaté qu'outre leur electro/pop/euphorisante, ils étaient aussi extrêment agréables et on remercie chaleureusement Kristoffer Rom, le fondateur et batteur du groupe pour avoir accepté de passer sur notre petit blog !
Et nous y sommes, trois ans après, notre rêve en poche et le premier extrait de leur nouvel album collé aux moustaches.
Avec "Internet Warrior", ils nous proposent un univers différent, nouveau design pour une mélodies plus sombre, mais toujours avec cette voix si particulière et des envolés qu'on vous met au défis de trouver ailleurs.
Rendez-vous sur leur Myspace en attendant la sortie de leur album "EGGS" ou sur Itunes Store pour rattraper votre retard.
Now, it's a big moment.
Today we can "close the shop". You can return us that the supreme purpose of a good electro blog is to manage to crown Crookers and Bloody Beetroots in the same itw, we don't care!
Six months ago, (take out your Kleenex, registered trademark) when we began this modest page, it was selflessly to make them discover to the french square meter that we had under our authority, because even if you, French, you don't know yet Oh No Ono, in Denmark, it is not the least known and the least cool group of the country.
Oh No Ono it's a little our " La Boum " (with Sophie Marceau) to us. Their songs were very hardly sung when we took down our first itw, but also when we took down the second, the third, when we kiss our first mustache, when we thrown away the last leopard's accesory of our dressing, before our first set and we can continue a long time like that...
The first time we heard them it was, because it is necessary to be precise, a morning, by somebody (that we thank) which prefered to share the life of a mongoose rather than not to finish his days with a tall, blond Danish girl (the myth to be killed) !
We were offended and then we listened to their Album " Yes ", in buckle, until the words are integrated on our lips. Then even if it did not seem to us that the Danish girls had a more spectacular glory/halo than ours, it clearly turned out that their music brought towards nebulas which we didn't know here.
In the great times of the "Paris Paris" you maybe already had the luck to see them, but until they return in France it will be necessary to move in their native country...
Oh No Ono it's galactic. That has no qualification, there is no point to describe something which just has to be heard !
We also noticed that besides their electro / pop / euphoriant, they were also extremely pleasant and thank warmly Kristoffer Rom, the founder and the drummer of the band to have agreed to pass on our young blog !
And here we are, three years later, our dream in pocket and the first extract of their new album stuck on the mustache.
With "Internet Warrior", they give us a different universe, a new design for a darker melody, but always with this voice, so particular, and melodies than we put you in challenges to find somewhere else.
Go on their Myspace, waiting for the release of their album "EGGS" or on Itunes Store to catch up your delay.
1- First why Oh No Ono thats really enigmatic ?
(The piece is interrupted by data records)
/*
Record 1
Below is a cluster of 2 separate species, C3H6NO2P2 in total at a distorted geometry, with properties calculated with wB97M-V/def2-TZVPD.

Last column: Mulliken charge in e.
Cartesian coordinates (Å):
C 0.0026 0.7425 -1.1725  -0.595
C 1.1641 1.1119 -1.9979  0.444
C 1.7428 0.4950 -0.0089  -0.419
N 0.4844 0.3426 0.0570  -0.028
O 2.2573 0.9035 -1.2105  -0.332
O 1.2411 1.6346 -3.1144  -0.758
P -1.1644 -1.7610 0.7690  -0.040
P -1.3063 0.1282 1.7562  -0.078
H -1.0256 0.7230 -1.5018  0.410
H 2.4620 0.1332 0.7426  0.351
H -2.2876 -0.3246 2.7965  0.028
H -2.3390 -2.6082 0.8270  0.014
H -1.0295 -1.2569 -0.4840  -0.001
H -0.2018 -0.2639 2.5417  0.004

Properties
Spin multiplicity: 1
Charge: -1
E: -1005.8302 Eh
Frontier orbital gap: 6.8 eV

***

Record 2
Below is a cluster of 2 separate species, C2H5B in total at a distorted geometry, with properties calculated with wB97M-V/def2-TZVPD.

Last column: Mulliken charge in e.
Cartesian coordinates (Å):
B -0.8681 -0.1738 -0.0925  -0.028
C 0.4975 -0.6080 -0.1034  -0.406
C 0.2562 0.9218 -0.0563  -0.621
H -2.8598 -0.9309 0.0871  -0.054
H 0.7989 -0.9539 0.8580  0.232
H 0.9832 -1.1808 -0.7594  0.371
H 0.5796 1.6194 -0.8431  0.268
H 0.6124 1.3061 0.9097  0.239

Properties
Spin multiplicity: 1
Charge: 0
E: -103.8366 Eh
Frontier orbital gap: 9.3 eV

***

Record 3
Below is a cluster of 5 separate species, C18H19F3O2 in total at a distorted geometry, with properties calculated with wB97M-V/def2-TZVPD.

Last column: Mulliken charge in e.
Cartesian coordinates (Å):
F -4.7260 -1.4786 1.0816  -0.340
C -3.5282 -2.0291 0.9668  0.572
C -2.6395 -1.6158 0.0133  -0.541
C -1.3516 -2.1890 -0.0397  -0.091
C -1.0100 -3.1788 0.8452  -0.816
C -1.9447 -3.5263 1.8064  -0.168
C -3.2099 -2.9546 1.9194  -0.623
H -2.9624 -0.8611 -0.7034  0.443
H -0.6339 -1.8352 -0.7801  0.358
H -0.0256 -3.6525 0.7603  0.404
H -1.6253 -4.2895 2.4735  0.345
H -3.9259 -3.2063 2.6817  0.455
F 4.6867 -4.0681 0.3988  -0.321
C 4.8951 -2.7045 0.3152  0.559
C 4.1046 -1.9846 -0.5480  -0.521
C 4.3357 -0.6025 -0.6047  -0.415
C 5.2237 -0.0087 0.2198  -0.587
C 6.0605 -0.7761 1.0393  -0.409
C 5.8570 -2.1651 1.0981  -0.479
H 3.3106 -2.4711 -1.1057  0.431
H 3.7756 0.0050 -1.3218  0.544
H 5.3101 1.0623 0.2500  0.392
H 6.7664 -0.3903 1.7197  0.391
H 6.4716 -2.7965 1.7208  0.416
F -1.4796 1.6851 0.9615  -0.413
C -2.2443 2.5872 0.2889  0.698
C -3.5501 2.7825 0.6806  -0.715
C -4.1923 3.7951 -0.0077  -0.220
C -3.6623 4.5227 -1.0842  -0.647
C -2.3914 4.2729 -1.4550  -0.356
C -1.6518 3.3365 -0.7256  -0.386
H -3.9974 2.2489 1.5010  0.476
H -5.1427 4.1192 0.3649  0.331
H -4.2237 5.2961 -1.5530  0.420
H -1.9493 4.7708 -2.3042  0.392
H -0.6303 3.1711 -1.0498  0.368
O 0.2402 1.6862 -3.1383  -0.645
H 0.1894 1.0147 -2.4186  0.315
H -0.4630 1.4634 -3.7537  0.315
O 0.5700 0.2606 -0.5443  -0.497
H 1.4280 0.1696 -0.1254  0.259
H -0.0641 0.5345 0.1565  0.303

Properties
Spin multiplicity: 1
Charge: 0
SMILES: Fc1ccccc1.Fc1ccccc1.Fc1ccccc1.O.O
E: -1147.3567 Eh
Frontier orbital gap: 10.0 eV
*/
Yes, and that's one of the reasons we chose it! Really, it's just a word play that we like. We have nothing against Yoko Ono. She's made great art over the years and we met her about a year ago... She seemed very nice.
2- Where have you performed? What are your favorite and least favorite venues? Do you have any upcoming shows ?
# Inserted here: calculated molecules
'''
This record from the OMol25 dataset describes 7 unconnected molecules or ions with the total composition C52H55BO13. The level of theory is wB97M-V/def2-TZVPD.

Geometry as XYZ:
```
121
Properties=species:S:1:pos:R:3:forces:R:3:mulliken_charge:R:1
C 5.661679 -1.787920 -0.097625 -8.202 -1.569 -4.249 -0.82
C 4.449694 -2.196958 -0.730950 8.071 2.868 4.705 0.33
B 2.906984 -2.597695 -1.252837 0.202 -0.231 -0.277 0.06
O 2.485369 -4.000034 -1.466062 0.449 2.760 2.705 -0.27
C 1.919281 -1.271872 -1.536595 0.001 -1.497 -0.441 0.71
C 2.458103 -0.607987 -2.934767 1.294 0.261 -0.354 -0.59
C 2.608263 1.023941 -2.921249 -0.439 0.482 -0.933 -0.75
C 1.578533 1.811620 -1.918348 0.605 -0.032 0.149 0.03
C -0.013172 1.529221 -2.191424 -0.021 0.517 0.963 -0.34
C -0.816004 2.096205 -0.843332 0.297 1.390 -1.040 -0.35
C -2.423620 2.352181 -1.109438 0.373 -0.761 0.615 -0.53
C -3.191200 0.901958 -0.798062 0.013 1.747 -0.385 -0.53
C -4.820070 1.136816 -0.574491 1.302 -1.257 -0.678 -0.29
C -5.470494 -0.373576 -0.299616 -0.392 1.724 -0.455 -0.16
C -7.012805 -0.317695 -0.876404 0.021 -1.354 0.840 -0.43
C -7.415045 -1.810382 -1.458654 0.147 0.988 -0.459 -0.74
C -6.595169 -2.187398 -2.859267 -0.412 -1.167 1.064 -0.05
C -7.178251 -3.674648 -3.337948 0.874 0.496 -0.190 -0.86
H 6.538692 -1.111142 0.346762 -2.407 -2.073 -1.265 0.30
H 2.229918 -4.322488 -0.532603 0.400 0.073 -2.031 0.23
H 2.029467 -0.597489 -0.586800 -0.456 -0.915 -2.023 -0.24
H 0.815125 -1.670596 -1.713885 2.176 1.070 0.729 0.00
H 3.554459 -1.040762 -3.125150 -2.278 0.948 0.248 0.36
H 1.836053 -0.915599 -3.888693 0.988 0.415 2.264 0.24
H 2.338671 1.389581 -4.025449 0.628 -0.741 2.309 0.33
H 3.743337 1.351584 -2.768489 -2.501 -0.729 0.013 0.20
H 1.826580 2.971467 -2.029985 -0.797 -2.511 0.235 0.40
H 1.815015 1.563596 -0.776573 -0.566 0.455 -2.593 -0.27
H -0.272946 0.373602 -2.303488 0.706 2.517 -0.036 -0.07
H -0.357297 2.160508 -3.138078 0.623 -1.557 1.948 0.40
H -0.605451 1.393449 0.068456 -0.552 1.251 -1.711 0.18
H -0.332194 3.152635 -0.592610 -0.857 -2.256 -0.454 0.18
H -2.617419 2.731802 -2.217100 0.454 -0.927 2.293 0.25
H -2.812730 3.212534 -0.386182 0.761 -1.954 -1.405 0.28
H -2.653447 0.444801 0.137333 -1.257 0.749 -1.657 0.19
H -2.971301 0.214117 -1.729195 -0.672 1.177 1.899 0.17
H -5.041899 1.887822 0.311459 0.514 -1.657 -1.885 -0.01
H -5.233690 1.590875 -1.597162 0.796 -0.968 2.305 0.30
H -5.395306 -0.542741 0.855877 -0.425 0.074 -2.203 0.26
H -4.857864 -1.208248 -0.857149 -1.125 1.783 1.059 0.06
H -7.115745 0.497008 -1.711783 0.207 -1.602 1.602 0.31
H -7.728500 -0.062470 0.028390 1.386 -0.341 -1.982 0.19
H -7.185036 -2.598950 -0.620911 -0.386 1.379 -1.714 0.27
H -8.573294 -1.836538 -1.684508 2.288 -0.040 0.394 0.30
H -6.743801 -1.360451 -3.697335 0.318 -1.783 1.862 0.26
H -5.438947 -2.357334 -2.634182 -2.496 0.683 -0.474 -0.01
H -6.244187 -4.280944 -3.746453 -2.245 1.105 0.680 0.18
H -7.966420 -3.483131 -4.184108 1.416 -0.736 1.701 0.32
H -7.634720 -4.286260 -2.420773 0.943 1.493 -2.103 0.25
'''
We haven't been performing for a while. Our next show is in Copenhagen, Denmark on May 14 and that will be exactly 1 year after our last show. We've been recording new songs for many songs (the next album is released in Denmark on April 20). But we've played lots of places, pretty much all over Europe. It's always a joy to play so no least-favorite venues.. Every venue, city or country is different and yet almost identical when you're touring.
I'd say that we particularly enjoyed playing in Rubaix in France. We played in a tiny cellar but we all agree that it was one of the best and most enjoyable concerts we've played so far.
3- How long have you all known each other ? How did you met ?
We've known each other for 6-7 years. Some of us went to music schools together. 3 of us started playing a bit together but nothing serious. We each moved a lot to other cities but after a couple of years we gendede up in the same city (Aalborg) and discovered that we shared the same musical ideals. From that point it's all been about Oh No Ono for us.
4-When did you form your band ? What inspired you to make music together ?
It was in 2003. Basically we we're bored with the majority of music releases so we wanted to make music that keeps surprising and challenging whoever listens. That's still a big issue for us when we write songs.
5- What do you envy to french poeple ?
Paris in general, your wine tradition, the sheer size of the country, Albert Camus & Brigitte Bardot.
6- What has been your biggest challenge as a band ?
There's always challenges, it's hard to put a finger on the biggest one. I'd say it has been recording and producing the new record and making it as perfect as we wanted to. Luckily and due to 18 months of around the clock-working hours we are convinced that we've succeeded.
7- How is it like to be in a band (girls, whisky, parties, endless nights or scrabble with mummy ?)
Haha, the seemingly always interesting rock 'n roll question.
Being in a band is great, troubling, beautiful, scary, joyful, challenging, embarrassing, easy, important, unimportant, tiring, ecstatic, other-worldly, surprising.. all at the same time.

Myspace Oh No Ono
Website Oh No Ono